File =
<<<
# Rb3TiGe2O8

An optimized crystal structure of Rb3TiGe2O8 (PBE, Alexandria via LeMat-Bulk).

Results
* raw total energy: -6.1314 eV per atom
* E_form (uncorrected): -1.867 eV/atom
* theoretical density: 4.2 Mg/m³

```
Rb3TiGe2O8
1.0
5.7337 0.0000 0.0000
-2.8668 4.9655 0.0000
0.0000 0.0000 8.1095
Rb Ti Ge O
3 1 2 8
direct
0.0000 0.0000 0.0000
0.3333 0.6667 0.7385
0.6667 0.3333 0.2615
0.0000 0.0000 0.5000
0.3333 0.6667 0.2918
0.6667 0.3333 0.7082
0.1628 0.3256 0.3591
0.1628 0.8372 0.3591
0.3256 0.1628 0.6409
0.3333 0.6667 0.0760
0.6667 0.3333 0.9240
0.6744 0.8372 0.3591
0.8372 0.1628 0.6409
0.8372 0.6744 0.6409
```

----------

Entry from Alexandria via LeMat-Bulk: a relaxed structure of TmBiPb (GGA-PBE).

Lattice parameters (Å, degrees): 4.231 4.231 10.526 90.00 90.00 90.00
Space group P4/nmm (No. 129, origin choice 2)
Unique sites:
Tm: 0.250 0.250 0.111 (multiplicity 2)
Bi: 0.250 0.250 0.805 (multiplicity 2)
Pb: 0.250 0.250 0.423 (multiplicity 2)

Results
calculated formation energy: -0.3240 eV/atom
M_tot: 0.00 μB/f.u.
E above lowest polymorph: 0.0 meV/atom

Entry from Alexandria via LeMat-Bulk: a relaxed structure of TmBiPb2 (GGA-PBE).

Lattice parameters (Å, degrees): 4.836 4.836 5.018 90.00 90.00 90.00
Space group P4/mmm (No. 123)
Unique sites:
Tm: 0.000 0.000 0.000 (multiplicity 1)
Bi: 0.500 0.500 0.000 (multiplicity 1)
Pb: 0.000 0.500 0.500 (multiplicity 2)

Results
calculated formation energy: -0.2353 eV/atom
M_tot: 0.00 μB/f.u.

Entry from Alexandria via LeMat-Bulk: a relaxed structure of Tm8BiPb2 (GGA-PBE).

Lattice parameters (Å, degrees): 18.214 5.191 6.773 90.00 91.96 90.00
Space group C2/m (No. 12)
Unique sites:
Tm: 0.034 0.000 0.241 (multiplicity 4)
Tm: 0.092 0.500 0.936 (multiplicity 4)
Tm: 0.166 0.500 0.407 (multiplicity 4)
Tm: 0.214 0.000 0.115 (multiplicity 4)
Bi: 0.000 0.500 0.500 (multiplicity 2)
Pb: 0.162 0.000 0.670 (multiplicity 4)

Results
calculated formation energy: -0.3029 eV/atom
M_tot: 0.00 μB/f.u.

Entry from Alexandria via LeMat-Bulk: a relaxed structure of TmBi2Pb (GGA-PBE).

Lattice parameters (Å, degrees): 4.7089 4.7089 21.5551 90.00 90.00 120.00
Space group R3m (No. 160, hexagonal axes)
Unique sites:
Tm: 0.0000 0.0000 0.0000 (multiplicity 3)
Bi: 0.0000 0.0000 0.4069 (multiplicity 3)
Bi: 0.0000 0.0000 0.5918 (multiplicity 3)
Pb: 0.0000 0.0000 0.8298 (multiplicity 3)

Results
calculated formation energy: -0.2317 eV/atom
M_tot: 0.00 μB/f.u.
E above lowest polymorph: 65.3 meV/atom

Entry from Alexandria via LeMat-Bulk: a relaxed structure of Tm12Bi2Pb5 (GGA-PBE).

Lattice parameters (Å, degrees): 17.203 7.043 10.155 90.00 101.22 90.00
Space group C2/m (No. 12)
Unique sites:
Tm: 0.013 0.000 0.295 (multiplicity 4)
Tm: 0.102 0.500 0.817 (multiplicity 4)
Tm: 0.146 0.238 0.560 (multiplicity 8)
Tm: 0.180 0.247 0.100 (multiplicity 8)
Bi: 0.000 0.251 0.000 (multiplicity 4)
Pb: 0.000 0.500 0.500 (multiplicity 2)
Pb: 0.168 0.000 0.824 (multiplicity 4)
Pb: 0.208 0.000 0.350 (multiplicity 4)

Results
calculated formation energy: -0.2070 eV/atom
M_tot: 0.00 μB/f.u.

Entry from Alexandria via LeMat-Bulk: a relaxed structure of Tm8Bi2Pb (GGA-PBE).

Lattice parameters (Å, degrees): 18.353 5.145 6.840 90.00 92.58 90.00
Space group C2/m (No. 12)
Unique sites:
Tm: 0.035 0.000 0.243 (multiplicity 4)
Tm: 0.092 0.500 0.938 (multiplicity 4)
Tm: 0.162 0.500 0.408 (multiplicity 4)
Tm: 0.216 0.000 0.127 (multiplicity 4)
Bi: 0.165 0.000 0.675 (multiplicity 4)
Pb: 0.000 0.500 0.500 (multiplicity 2)

Results
calculated formation energy: -0.3098 eV/atom
M_tot: 0.00 μB/f.u.

Entry from Alexandria via LeMat-Bulk: a relaxed structure of Tm7Bi2Pb2 (GGA-PBE).

Lattice parameters (Å, degrees): 10.872 8.902 7.319 90.00 90.11 90.00
Space group C2/m (No. 12)
Unique sites:
Tm: 0.000 0.000 0.000 (multiplicity 2)
Tm: 0.000 0.500 0.272 (multiplicity 4)
Tm: 0.250 0.249 0.279 (multiplicity 8)
Bi: 0.219 0.500 0.001 (multiplicity 4)
Pb: 0.000 0.184 0.500 (multiplicity 4)

Results
calculated formation energy: -0.1049 eV/atom
>>>

Exercise =
Could you search the calculation results earlier on for the word "direct" and set down each line that has it?

Done =
direct